Being a Campground Host: How to Have a Good Experience

There are several different ways to workamp, which combines paid or volunteer work with RV or tent camping. One of the most common is that of a campground host, as you can often bring a partner with you, and normally get a free campsite as compensation.
In this post, we’ll look at the pros and cons of the position, my own experience as a camp host, and how to have the most successful experience.
What Is a Campground Host?
A campground host works a decided up number of hours per week in return for a free campsite. Positions vary from place to place, with duties depending on the needs and staffing of the park. Most positions will generally have these things in common:
Help enforce park rules and regulations
I was given a thick packet of rules and regulations to know about the campsite, so that if campers had questions or complaints I would know what actions to take. However, camp hosts are not rangers. If you ask a camper to quiet down after quiet hours and they get confrontational, you should turn the responsibility over to the duty ranger or police.
Help with check in and out
It is important that parks have a system to keep track of who is leaving, who is arriving, and how to tidy up campsites in between. This is because campers come and go every day, and on holidays or during the summer, campgrounds that normally have a few van lifers or backpackers will now be filled with families. At my park, the rangers station took care of check in/out while camp hosts did a sweep of the sites, ensuring that everyone who was supposed to have left had done so, hurrying along those who were dragging their feet, and cleaning up after campers. This included emptying the fire pits of ash and picking up litter.
Customer service
On a campground, customer service mostly means answering questions and fielding complaints. This could be anything from pointing out the entrance to the closest trail to nodding sympathetically about the amount of mosquitos plaguing the area. More importantly, it means keeping the maintenance managers and rangers aware of plumbing and electricity issues, campers not following regulations, and emergencies. When possible, finding solutions to smaller issues on your own saves everyone time and keeps the park running smoothly.
Other duties
Camp hosts are often expected to do light maintenance and clean bathrooms. Along with these things, I also sold firewood and ice since we didn’t have a camp store, as well as called the supplier to refill them when we ran low. Having camped in many places, the handling of firewood and ice varies and is not always the responsibility of the camp host.

You are often the go to for first aid, either to care for campers or call for help. My first aid kit got put to good use taking care of scraped knees, snake bites, poison ivy, and more.
Pros and Cons
There are several pros and cons to camp hosting. Like many work camping positions, you will have to weight them based on your camping situation and personal capacity to do the work.
Connect With Nature
During my time as a camp host I spent most of my day outside. At first it was simply practical - I could spread out my laptop and paperwork much better on the campground picnic table than I could on my tiny table in the bus. However I tended to stay outside much longer that I intended. Outside I could catch the rare breeze, wave at the people who passed by, and see the sun go down every day, dappled by the trees. Possibly because of this, I found myself having a more regular sleep schedule, was more relaxed, and even my normally brutal spring allergies seemed to last for a shorter amount of time.
Easy Access to Exercise
Most campgrounds have at least a few short trails. Despite working two jobs alongside the camp host position, I found time to explore the woods I lived in. The campground of the park I worked at had a direct entrance to a two-mile trail that wound around the small property. By the end of my camp host experience, I had found a way to turn it into five miles by connecting it with smaller ones through small pathways and back roads. I had also started to walk it barefoot, as a way of meditating and connecting with the earth. I tried mountain biking, and despite it being terrifying and slow going I made some progress. When you live directly surrounded by nature, you have ample opportunity and motivation to move, and exercise doesn't feel like a chore.
Meeting People
This job is all about people. As a camp host, you'll meet people from all ages, backgrounds, and walks of life. I enjoyed having engaging conversations with my fellow camp host and with other campers.
Van life can be chaotic, and going from deciding where to park every day to having a spot dedicated as "mine" was calming. Especially for people with unwieldy vehicles like busses or large RVs, having the same place to park every day can give you mental space to relax and reset, or the physical ability to do work on your vehicle. The campground I worked at even allowed me to send mail to their office due to the length of time that I was staying.
Dirty, dusty work
Spending my days walking on gravel, shoveling ash pits and scrubbing toilets is dirty work. I was constantly covered in a layer of dirt and dried sweat. All of this dirt will be tracked into your rig as you go in and out throughout the day. You can try to reduce this by using a mat at the doorway and immediately removing your shoes when you get inside, but you will still have to sweep or vacuum often.
Cleaning the bathrooms
Before I left my previous apartment to become a camp host, my housemate warned me against it. He had been a camp host for a month and hated it, mainly because of the bathroom cleaning duties.
'''
This record from the Alexandria database describes a geometry-optimized CeSm2Rh3 structure. The functional is PBE.

a = 12.934 Å, b = 5.790 Å, c = 7.674 Å
α = 90.00°, β = 106.20°, γ = 90.00°
Space group C2/c (No. 15)
Unique sites:
Ce  0.000  0.066  0.250 x4
Sm  0.169  0.463  0.073 x8
Rh  0.000  0.417  0.750 x4
Rh  0.151  0.044  0.601 x8

- Crystal system: monoclinic
- DOS at the Fermi energy: 0.60 states/eV per atom
- Formation energy: -60.5 kJ/mol of atoms
- Energy above the most stable polymorph in this dataset: 0.50 eV/f.u.

~~~~~

This record from Alexandria describes a relaxed structure of Zr5Pb. The functional is PBEsol.

ΔH_f (0 K) = -0.076 eV per atom

Unit cell a=5.4931 b=5.4931 c=5.1279 alpha=90.00 beta=90.00 gamma=120.00
Space group P-62m (No. 189)
One atom of each set of equivalent atoms:
Zr 0.0000 0.3252 0.0000 (multiplicity 3)
'''
“There’s nothing worse than cleaning up after people who have spent the weekend eating camping food”, he told me seriously.
I waved it off, thinking that after changing diapers at a daycare and scooping manure on a farm, this couldn’t be so bad. Oh, how wrong I was. It took less than a week for me to become an expert at plunging a full toilet without making the water go over the edge, pulling massive hair clots out of the shower drains, and emptying unwrapped tampons and pads out of the little box beside the toilet. The men's room had its own issues, with campers regularly managing to miss the urinals or use entire rolls of toilet paper in a single visit. I became mostly desensitized to cleaning these dismal bathrooms right before lunch, and scrubbed my hands so often and so intensely that I had to walk around with a small bottle of lotion in my fanny pack. Thankfully, not all campsites require hosts to clean bathrooms, and the campground that I worked at had a unique plumbing situation that exacerbated these issues. This means that for most camp hosts, cleaning the bathroom won't be torturous, it will just be a little gross.
Hard to Be Completely Off Duty
While camp hosts have strict times that they are on and off duty, campers and often rangers (depending on the park you work at) may ignore it, resulting in you being asked questions or requested to do tasks anyway. I resorted to leaving the campsite when I wanted to be left alone, especially on my off days.
Working Outside Regardless of The Weather
For most who take the job, working outside all day is a perk. However it becomes taxing sometimes, such as periods of heavy rain, high pollen days, and dangerous heat during the summer. It's important to consider your ability to handle these conditions as well as the capacity of your rig to keep you safe.

One of my favorite things to do while camp hosting was to make a final round of the campground and appreciate all of the glowing tents and fairy lights every night before bed. Definitely one of the pros.
How to Have a Successful Camp Host Experience
Being a camp host can be fun, but it can also be hard. When I first decided to camp host, it was not only my first time hosting but my first month living RV life. It was important to have a positive outlook in order for the experience to be a good one.
Appreciate the Small Things
When working a dirty job in the hot sun there is nothing better than a hot shower. Though there was a working shower at the campsite, I began to work out more so that I could shower at Planet Fitness. I appreciated being able to go through my personal care routine without people recognizing me and asking me questions.
Take Safety Into Consideration
You may have to forgo some comforts while camp hosting. For me, I love being barefoot, including outside. However, while hosting I witnessed people struggling to empty their black water tanks and getting waste on the ground, found shattered beer bottles, helped people who were bitten by snakes, and learned how much work it takes to clean the bathrooms. I quickly became more careful about where I walked barefoot. I have more tips on barefoot hiking and safety here.
Through a few hapless mistakes I was given a harsh reminder that nature didn’t care how long I spent in it - I was still a soft vulnerable human. After getting lost off trail in the woods and having to call a ranger for help, I began to be more prepared on hikes, including my simple morning walks. I always wore sunscreen and bug spray, carried water, and checked for ticks when I got back. I carried a full pack for longer hikes and a fanny pack was stocked with simple essentials for short hikes.
Finally, after seeing my first dog fight and nearly losing two fingernails trying to help the owners break it up (which you shouldn't do, but I didn't know at the time), I realized how important it is to leash your dog. In an area with many dogs around, it is important for everyone to follow this rule. This also helps to keep your dog safe from snakes, speeding cars, and children with no boundaries.
Ask for and Offer Help
On my first day as camp host I was exhausted from the long drive and lack of sleep, only to find that there was something wrong with the electrical system of my bus. I was not getting any power from my solar panels and I didn't have a cord for shore power yet. My fellow camp host Stan saw me squatting in front of the fire pit, frustratedly using up fire starters but unable to keep the flames going long enough to boil my ramen. He decided to help. Instead of just giving me food, which would have only helped for the immediate moment, he taught me how to properly light a fire and keep it going. I continued to cook food over a fire twice a day for a week despite the summer heat, until I finally found someone to diagnose and fix my electrical issues. Since then I have been very handy with campfires.
I am grateful to Stan for giving me this skill that I will not only carry with me for life, but have been able to share with other struggling souls. Sharing knowledge is an amazing way to help everyone enjoy camping, because you are not only connecting with others but learning new skills that could be lifesaving if needed.
Make time to socialize
If you camp host as a single person like I did, it can be a little lonely to have constant background noise of people having fun - barking dogs, screaming children, laughter, and music - while you're on your own. When meeting new people, don’t be afraid to reach out and turn a short encounter with someone into an actual friendship. Ask to join them for their night time campfire, for dinner, or on a hike. I made several good friends this way, including the amazing person that invited me to Reggae Rise Up.
Advocate for yourself
If your park is understaffed, the lines between camp host duties and favors might become blurred. After all, you're there all the time. It's easy for staff to radio you questions or send campers your way without checking your work hours, or ask you to do a task because the maintenance team is unavailable. It is important to read your paperwork and talk to your manager, then set clear boundaries regarding your responsibilities. This includes asking campers to come back later if their question or request is not an emergency. As someone who spent my last few weeks camp hosting on their own without help while also juggling a full time job, this was very important.
Don't Be Afraid to Take Up Space
Ask a black trans-masculine person I knew that I would be playing with fire by choosing this position. The area I worked in was home to mostly white high income families, who I worried would be intimidated by my presence. I was not wrong - campers treated me differently than my peers. Many people gave me weird looks, were more willing to be rude to me, and acted afraid when I approached them. None of this happened when I was accompanied by one of the rangers or by Stan, all of whom were white.
Other minorities noticed it as well. They made an effort to stop and talk to me, saying that they felt more comfortable knowing that I was nearby. Growing up in the military I was used to being the only black kid in the room - I thought it wouldn't bother me. But I did feel a little affronted when I once walked up to a family's camp site to ask a question and the parents dramatically held up their hands, palms out in surrender, saying “I don’t want any trouble,” or the time that I reminded an elderly couple of check out time and they began to angrily shout profanities at me, saying that I had no authority to tell them what to do. I was bothered by how often kids stopped to pet my dog only to be violently yanked away by their parent as if I was trying to give them drugs. Things like this happened all the time, and almost overshadowed all of the people who were perfectly nice.
I will always remember the day when an old white man walked up to me while I was eating lunch to say, “You don’t look like an RVer.”
I put my peanut butter sandwich down, annoyed, and asked what he meant. He looked my bus up and down as he tried to find his words. “You got a boyfriend?”
"This your rig?"
"You the camp host?"
"YES. Can I help you with something?"
He frowned, sucked his teeth and walked away.
What this man was trying to say, as were many people throughout my experience, is: why are you taking up space at this campsite? Why are you the camp host, when that’s not only a cis man’s job, but a white man’s job? By openly taking part in this white and male dominated activity, going so far as to take a position of authority (no matter how small), I was challenging his view of what RVing was meant to be and who was allowed to do it. Therefore he was offended, despite him having been the one who was rude to me.
Black Folks Camp Too is a movement to promote unity in the outdoors while getting more of the Black community out enjoying nature. While I haven't had the chance to camp at a Unity Blaze certified campground yet, many outdoor retail stores, RV dealerships, and gear manufacturing businesses have joined in. You can support the movement as an individual simply by joining their social media pages or reading up on the website.
Overall, being a camp host was a life changing experience. Constantly being in nature made me want to do nothing more than explore it. When I was in my little bubble of city life I was tempted to stay there, even though I hated it. I would go home to my apartment and only leave to walk the dog or go on planned excursions. In contrast, as a camp host I would finish work and rush to go on a hike before sunset. If I felt stressed, I would grab my bike and pump it out instead of sitting and seething. Spending more time in nature genuinely made me happier and healthier at a time when I needed help moving forward. It also made me realize how important it is to speak out about the microaggressions that I experienced every day simply for having the gall to go camping.
There are so many things in nature that we see every day but don’t notice or appreciate. Living in the woods made me feel warm and happy and part of something bigger. If you need a place to park for an extended period of time and want to save some money, I recommend trying it out. By focusing on the positives, learning from the experience as much as possible, and connecting with others, it can be an unforgettable experience.
How to become a campground host - one of the largest camp host employers in the US - shows help wanted ads from RV parks and campgrounds - shows all kinds of interesting seasonal positions.
- - -
Computed, not measured: a relaxed Cr2IrRh crystal at the GGA-PBEsol level of DFT.

Results
Symmetry   Cmmm (65)
Crystal system   orthorhombic
Raw total energy   -9.73 eV per atom
N(E_F)   3.39 states/eV/cell
Volume   12.6 Å³ per atom
Formation enthalpy at 0 K   -0.117 eV/atom

```
data_Cr2IrRh
_cell_length_a 4.4861
_cell_length_b 4.4861
_cell_length_c 2.6293
_cell_angle_alpha 90.00
_cell_angle_beta 90.00
_cell_angle_gamma 108.39
_symmetry_space_group_name_H-M 'P 1'
_symmetry_Int_Tables_number 1
loop_
_symmetry_equiv_pos_as_xyz
'x,y,z'
loop_
_atom_site_label
_atom_site_type_symbol
_atom_site_fract_x
_atom_site_fract_y
_atom_site_fract_z
_atom_site_occupancy
Cr1 Cr 0.0000 0.5000 0.0000 1
Cr2 Cr 0.5000 0.0000 0.0000 1
Ir1 Ir 0.0000 0.0000 0.5000 1
Rh1 Rh 0.5000 0.5000 0.5000 1
```

=====

Record 1
DFT (PBE-GGA) results for YBeAu3 after structural relaxation.

Cell: 7.0844 8.8888 6.1398 Å, 90.00 90.00 90.00°
Last column: nearest neighbours and their distance in Å.
Element x y z (fractional)
Au  0.2528  0.0005  0.2541  2 Be 2.34-2.35
Au  0.2472  0.9995  0.7541  2 Be 2.34-2.35
Au  0.7528  0.0005  0.2459  2 Be 2.34-2.35
Au  0.7528  0.4995  0.2459  2 Be 2.34-2.35
Au  0.9129  0.7500  0.4955  2 Be 2.31
Au  0.2472  0.5005  0.7541  2 Be 2.34-2.35
Au  0.4129  0.7500  0.0045  2 Be 2.31
Au  0.7472  0.9995  0.7459  2 Be 2.34-2.35
Au  0.5871  0.2500  0.9955  2 Be 2.31
Au  0.2528  0.4995  0.2541  2 Be 2.34-2.35
Au  0.7472  0.5005  0.7459  2 Be 2.34-2.35
Au  0.0871  0.2500  0.5045  2 Be 2.31
Be  0.0000  0.5000  0.5000  6 Au 2.31-2.35
Be  0.5000  0.0000  0.0000  6 Au 2.31-2.35
Be  0.5000  0.5000  0.0000  6 Au 2.31-2.35
Be  0.0000  0.0000  0.5000  6 Au 2.31-2.35
Y  0.4866  0.7500  0.5042  11 Au 3.02-3.32
Y  0.0134  0.2500  0.0042  11 Au 3.02-3.32
Y  0.5134  0.2500  0.4958  11 Au 3.02-3.32
Y  0.9866  0.7500  0.9958  11 Au 3.02-3.32

Computed properties:
Its energy above the most stable polymorph in this dataset is 100.1 meV per atom. For the formation energy from the elements, the calculation gives -467 meV per atom. The energy is -22.356 eV/f.u.


Record 2
DFT (PBE-GGA) results for PrAl2Ga2 after structural relaxation.

Cell: 5.1558 5.2064 5.2064 Å, 120.00 90.00 90.00°
Last column: nearest neighbours and their distance in Å.
Element x y z (fractional)
Ga  0.0154  0.3333  0.6667  2 Al 2.57-2.59
Ga  0.9846  0.6667  0.3333  2 Al 2.57-2.59
Pr  0.0000  0.0000  0.0000  6 Ga 3.01
Al  0.5138  0.3333  0.6667  2 Ga 2.57-2.59
Al  0.4862  0.6667  0.3333  2 Ga 2.57-2.59

Computed properties:
For the formation energy from the elements, the calculation gives 110 meV per atom. The energy is -17.770 eV/f.u.


Record 3
DFT (PBE-GGA) results for Tb3PrSm2Tm6 after structural relaxation.

Cell: 6.1539 6.1539 11.6790 Å, 95.02 95.02 119.96°
Last column: nearest neighbours and their distance in Å.
Element x y z (fractional)
Tb  0.5000  0.5000  0.5000  6 Tm 3.51, 6 Tb 3.55
Tb  0.8333  0.1667  0.5000  6 Tm 3.51, 6 Tb 3.55
Tb  0.1667  0.8333  0.5000  6 Tm 3.51, 6 Tb 3.55
- - -
Government websites - state parks near you will list available jobs on the Department of Natural Resources website.
Facebook - most camps have one or two social media accounts, with Facebook being the most common. I applied for my camp host position on Facebook.
Job boards such as LinkedIn and Indeed also show volunteer positions, including campground hosting.
Craigslist - I love Craigslist. It's where I bought (or got for free) most of my used camping gear for Burning Man and most furniture I have owned over the years. I've also picked up side jobs on it. For safety reasons, don't give out any personal information until you speak to someone in person in a public place. Have job interviews over Google Meet or Google Voice to avoid giving out your personal number. Look businesses up on the BBB and walk away from a conversation of your gut tells you to.
And more! Don't underestimate word of mouth. I got my camp host position without a waiting period because a friend recommended me to the hiring manager. If you go camping somewhere and enjoy the location, make sure to ask the camp host or a ranger whether they are in need of help.